Understanding the Science of Addiction

Addiction is a complex disease that alters your body and brain for the worse. As you consume addictive substances, over time your brain becomes dependent on these substances, which can lead to fatal consequences. Understanding the science of addiction can be complex; however, it’s important to understand, especially if you are looking to progress along your recovery journey. Keep reading to learn more about the science of addiction below. 

At Sequoia Detox Center, we provide comprehensive substance abuse treatment in Washington so you can regain control of your health and quality of life. Our Spokane drug and alcohol detox center offers a wide array of Washington addiction treatment services so you can receive the level of care you need. Contact us today to learn how we can help you on your road to recovery.  

The Neurobiology Behind Addiction

Ever wonder about the science behind alcohol addiction? Or, how your brain changes as it develops an addiction?

== Misplaced crystal structures ==
~~~
{"formula": "Zr2CuTc", "functional": "PBE-GGA", "state": "optimized geometry", "lattice_angstrom": [[0.000, 3.291, 3.291], [3.291, 0.000, 3.291], [3.291, 3.291, 0.000]], "species": ["Tc", "Cu", "Zr", "Zr"], "frac_coords": [[0.000, 0.000, 0.000], [0.500, 0.500, 0.500], [0.250, 0.250, 0.250], [0.750, 0.750, 0.750]], "total_energy_ev_per_atom": -8.159, "sg": "No. 225", "ef_ev_per_atom": -0.27}

~~~~~

No. 1
# NdHO2

A relaxed NdHO2 crystal (meta-GGA r2SCAN, the Materials Project database).

Results
For the total magnetic moment, the calculation gives 0.0 μB per formula unit. Its final energy is -13.972 eV per atom. For the formation energy, the calculation gives -2.77 eV per atom.

Unit cell a=4.374 b=3.833 c=6.251 alpha=90.00 beta=107.61 gamma=90.00
Positions (direct):
Nd 0.169 0.000 0.308
Nd 0.831 0.500 0.692
H 0.466 0.584 0.050
H 0.534 0.084 0.950
O 0.260 0.498 0.538
O 0.264 0.487 0.055
O 0.736 0.987 0.945
O 0.740 0.998 0.462

=====

No. 2
# NdHSO5

A relaxed NdHSO5 crystal (meta-GGA r2SCAN, the Materials Project database).

Results
For the total magnetic moment, the calculation gives 0.0 μB per formula unit. Its final energy is -11.144 eV per atom. For the formation energy, the calculation gives -2.30 eV per atom.

Unit cell a=4.480 b=12.446 c=7.032 alpha=90.00 beta=111.36 gamma=90.00
Positions (direct):
Nd 0.164 0.064 0.302
Nd 0.164 0.436 0.802
Nd 0.836 0.564 0.198
Nd 0.836 0.936 0.698
H 0.210 0.656 0.975
H 0.210 0.844 0.475
H 0.790 0.156 0.525
H 0.790 0.344 0.025
S 0.406 0.146 0.887
S 0.406 0.354 0.387
S 0.594 0.646 0.613
S 0.594 0.854 0.113
O 0.200 0.069 0.950
O 0.200 0.431 0.450
O 0.228 0.245 0.820
O 0.228 0.255 0.320
O 0.236 0.586 0.041
O 0.236 0.914 0.541
O 0.300 0.666 0.439
O 0.300 0.834 0.939
O 0.472 0.096 0.716
O 0.472 0.404 0.216
O 0.528 0.596 0.784
O 0.528 0.904 0.284
O 0.700 0.166 0.061
O 0.700 0.334 0.561
O 0.764 0.086 0.459
O 0.764 0.414 0.959
O 0.772 0.745 0.680
O 0.772 0.755 0.180
O 0.800 0.569 0.550
O 0.800 0.931 0.050

=====

No. 3
# NiH2SeO5

A relaxed NiH2SeO5 crystal (meta-GGA r2SCAN, the Materials Project database).

Results
For the total magnetic moment, the calculation gives 2.0 μB per formula unit. Its final energy is -7.980 eV per atom. For the formation energy, the calculation gives -0.97 eV per atom.

Unit cell a=6.879 b=8.038 c=7.505 alpha=90.00 beta=117.38 gamma=90.00
Positions (direct):
Ni 0.000 0.500 0.000
Ni 0.000 0.000 0.500
Ni 0.500 0.000 0.000
Ni 0.500 0.500 0.500
H 0.331 0.697 0.200
H 0.831 0.197 0.200
H 0.669 0.197 0.300
H 0.169 0.697 0.300
H 0.669 0.303 0.800
H 0.169 0.803 0.800
H 0.331 0.803 0.700
H 0.831 0.303 0.700
Se 0.750 0.834 0.750
Se 0.250 0.334 0.750
Se 0.250 0.166 0.250
Se 0.750 0.666 0.250
O 0.250 0.877 0.750
O 0.750 0.377 0.750
O 0.750 0.123 0.250
O 0.250 0.623 0.250
O 0.758 0.948 0.571
O 0.258 0.448 0.571
O 0.742 0.948 0.929
O 0.242 0.448 0.929
O 0.242 0.052 0.429
O 0.742 0.552 0.429
O 0.258 0.052 0.071
O 0.758 0.552 0.071
O 0.474 0.215 0.848
O 0.974 0.715 0.848
O 0.526 0.715 0.652
~~~

According to the National Institute on Drug Abuse, addiction is a chronic brain disorder that impacts the brain’s reward, stress, and self-control systems. When you think about drug addiction, you likely don’t consider addiction biology and the many changes the brain goes through as it falls deeper into drug dependency and subsequent addiction.

Your brain produces a certain amount of dopamine naturally through experiencing pleasurable events. When your body consumes addictive substances, these addictive substances deliver a spike of dopamine to the brain beyond the normal level you typically experience during your day-to-day life. This spike of dopamine released in the brain is what makes you experience a “high,” or a certain euphoric feeling. 

With repeated drug abuse, your brain adapts to expect these dopamine spikes from drug use. Because your brain expects these dopamine spikes, it also naturally produces less dopamine on its own. As you consume more and more of a drug with time, your brain needs to consume more of a substance as it builds tolerance. This is because your brain becomes accustomed to consuming and releasing a certain amount of dopamine. 

Withdrawal Symptoms Occur As the Brain Adapts Again

Data records, as found in the file
********
Compound: Li9Mn2Co5O16
Source: the Materials Project
Functional: PBE with a Hubbard U
Structure: optimized geometry

Structure (extended XYZ):
```
32
Lattice="-1.970 -2.247 0.475 6.065 -4.799 6.055 -2.442 3.691 9.095" Properties=species:S:1:pos:R:3 pbc="T T T"
Li 4.840 -2.949 10.601
Li -1.602 -0.180 2.585
Li -1.962 -1.143 7.644
Li -0.760 -2.971 3.139
Li -0.381 0.156 12.346
Li 0.819 -1.666 7.824
Li 3.261 -3.174 13.040
Li 2.409 -0.375 12.493
Li 3.613 -2.213 7.972
O 0.924 -1.173 11.280
O 2.015 -3.070 6.785
O 0.485 -3.061 9.464
O 4.789 -3.591 6.923
O -1.904 -0.619 11.202
O 3.124 -3.565 9.583
O -0.430 -0.380 8.860
O 2.040 -1.745 14.143
O 0.808 -2.081 4.318
O 1.167 -0.263 6.161
O -0.403 -1.630 1.492
O -1.281 2.379 8.226
O 1.714 -4.916 4.911
O 3.540 -1.675 11.451
O -1.487 0.216 6.043
O -1.885 -1.654 4.171
Mn 3.605 -1.116 15.137
Mn 0.445 -3.707 5.782
Co 3.251 -4.257 5.922
Co -0.452 -0.849 5.129
Co -1.591 0.883 9.702
Co 1.226 0.344 9.855
Co 2.109 -2.479 10.499
```

The calculation puts the formation energy at -1.779 eV/atom. For the density, the calculation gives 4.11 g/cm³. Its space group is P1. The value obtained for the energy above the most stable polymorph in this dataset is 85 meV/atom.

=====

DFT (r²SCAN) results for a geometry-optimized NdAsS structure.

Cell: 17.5407 3.9143 3.9819 Å, 90.00 90.00 90.00°
Closest atoms and distances in Å follow each position.
Fractional coordinates of all 12 atoms:
Nd  0.1455  0.2500  0.2279  5 S 2.88-2.94, 1 As 3.15
Nd  0.3545  0.7500  0.7279  5 S 2.88-2.94, 1 As 3.15
Nd  0.6455  0.2500  0.2721  5 S 2.88-2.94, 1 As 3.15
Nd  0.8545  0.7500  0.7721  5 S 2.88-2.94, 1 As 3.15
As  0.0020  0.2500  0.7046  2 As 2.55
As  0.4980  0.7500  0.2046  2 As 2.55
As  0.5020  0.2500  0.7954  2 As 2.55
As  0.9980  0.7500  0.2954  2 As 2.55
S  0.1868  0.7500  0.7302  5 Nd 2.88-2.94
S  0.3132  0.2500  0.2302  5 Nd 2.88-2.94
S  0.6868  0.7500  0.7698  5 Nd 2.88-2.94
S  0.8132  0.2500  0.2698  5 Nd 2.88-2.94

## Properties
ΔE_f: -1.807 eV per atom
Calculated density: 6.10 g/cm3
V: 22.8 Å³ per atom
Symmetry: Pnma, No. 62
Magnetic moment: 0.0 μB per cell

=====

DFT (r²SCAN) results for a geometry-optimized RbGeI3 structure.

Cell: 4.6906 10.3001 16.9046 Å, 90.00 90.00 90.00°
Closest atoms and distances in Å follow each position.
Fractional coordinates of all 20 atoms:
Rb  0.0122  0.1735  0.3306  8 I 3.76-3.93
Rb  0.4878  0.8265  0.8306  8 I 3.76-3.93
********

Overcoming addiction can be difficult because it involves changing your brain chemistry back to “normal” dopamine levels you used to experience prior to becoming addicted to drugs or alcohol. When you start to detox, your brain is not used to the lack of dopamine, and so you may experience uncomfortable withdrawal symptoms that may even be life-threatening, depending on the severity of your addiction. Common withdrawal symptoms include nausea, irritability, racing heartbeat, insomnia, and more. 

Although your body will experience uncomfortable withdrawal symptoms as your brain adapts during detox, it’s important to understand that these withdrawal symptoms don’t last forever. Typically, most patients who detox experience withdrawal symptoms for about 1-2 weeks as their brain and body adapt to no longer consuming any more drugs or alcohol. 

Why Addiction Recovery is a Lifelong Journey

Between two parts of the entry: materials data >
Crystalline SbPb3N at its relaxed geometry, computed with PBE.

Structure (POSCAR):
```
SbPb3N
1.0
-3.645 4.960 3.780
3.645 -4.960 3.780
3.645 4.960 -3.780
Sb Pb N
2 6 2
direct
0.253 0.003 0.250
0.747 0.997 0.750
0.211 0.000 0.711
0.211 0.500 0.211
0.318 0.568 0.750
0.682 0.432 0.250
0.789 0.000 0.289
0.789 0.500 0.789
0.000 0.500 0.500
0.500 0.500 0.000
```

- spin magnetization (μB per formula unit) = 0.0
- DFT formation energy (meV per atom) = 328
- electronic total energy (eV for the cell shown) = -43.21
- space group = Imma

Crystalline Cs3P7 at its relaxed geometry, computed with PBE.

Structure (POSCAR):
```
Cs3P7
1.0
9.252 0.000 0.000
0.000 9.252 0.000
0.000 0.000 16.941
Cs P
12 28
direct
0.024 0.838 0.000
0.162 0.024 0.250
0.254 0.619 0.506
0.264 0.418 0.093
0.381 0.254 0.756
0.418 0.736 0.843
0.582 0.264 0.343
0.619 0.746 0.256
0.736 0.582 0.593
0.746 0.381 0.006
0.838 0.976 0.750
0.976 0.162 0.500
0.002 0.655 0.210
0.008 0.290 0.843
0.024 0.642 0.814
0.094 0.555 0.700
0.106 0.477 0.896
0.203 0.626 0.286
0.210 0.401 0.315
0.290 0.992 0.593
0.345 0.002 0.460
0.358 0.024 0.064
0.374 0.203 0.536
0.401 0.790 0.065
0.445 0.094 0.950
0.477 0.894 0.646
0.523 0.106 0.146
0.555 0.906 0.450
0.599 0.210 0.565
0.626 0.797 0.036
0.642 0.976 0.564
0.655 0.998 0.960
0.710 0.008 0.093
0.790 0.599 0.815
0.797 0.374 0.786
0.894 0.523 0.396
0.906 0.445 0.200
0.976 0.358 0.314
0.992 0.710 0.343
0.998 0.345 0.710
```

- DFT formation energy (meV per atom) = -439
- electronic total energy (eV for the cell shown) = -179.87
- space group = P4_1

Crystalline NaTmTi2O6 at its relaxed geometry, computed with PBE.

Structure (POSCAR):
```
NaTmTi2O6
1.0
7.604 0.000 0.000
0.000 5.522 0.000
0.000 0.000 5.308
Na Tm Ti O
2 2 4 12
direct
0.000 0.213 0.000
0.500 0.787 0.500
0.000 0.676 0.526
0.500 0.324 0.026
0.247 0.235 0.519
0.253 0.765 0.019
0.747 0.765 0.019
0.753 0.235 0.519
0.000 0.279 0.427
0.000 0.776 0.118
0.194 0.942 0.693
0.207 0.464 0.785
0.293 0.536 0.285
0.306 0.058 0.193
0.500 0.224 0.618
0.500 0.721 0.927
0.694 0.058 0.193
0.707 0.536 0.285
0.793 0.464 0.785
0.806 0.942 0.693
```

- spin magnetization (μB per formula unit) = 0.0
- DFT formation energy (meV per atom) = -3452
- electronic total energy (eV for the cell shown) = -163.34
- space group = Pmn2_1

Crystalline P4Pb2O15 at its relaxed geometry, computed with PBE.

Structure (POSCAR):
```
P4Pb2O15
1.0
7.735 0.000 0.000
3.537 9.188 0.000
2.933 2.811 9.425
P Pb O
8 4 30
direct
0.094 0.341 0.241
0.131 0.993 0.747
0.237 0.024 0.242
0.289 0.679 0.729
0.711 0.321 0.271
0.763 0.976 0.758
0.869 0.007 0.253
0.906 0.659 0.759
0.213 0.642 0.394
0.467 0.760 0.962
0.533 0.240 0.038
0.787 0.358 0.606
0.049 0.421 0.351
0.066 0.046 0.168
0.092 0.641 0.814
0.093 0.146 0.643
0.162 0.159 0.316
0.229 0.862 0.666
0.236 0.380 0.106
0.243 0.962 0.859
0.274 0.878 0.358
0.285 0.292 0.768
0.339 0.301 0.641
0.340 0.691 0.161
0.374 0.609 0.610
0.396 0.053 0.118
0.405 0.634 0.843
0.595 0.366 0.157
0.604 0.947 0.882

As stated previously, addiction is a chronic brain disorder. Therefore, recovering from addiction is a lifelong journey filled with many ups and downs. Just because your brain and body overcame withdrawal symptoms during detox doesn’t mean you won’t be tempted by old triggers or cravings to abuse drugs or alcohol. 

Your brain will still be vulnerable to old triggers, cravings, and urges that could jeopardize your sobriety. This is why it’s so important that you not only avoid specific places, people, and situations that may increase your risk of relapsing, but you also need to practice healthy coping strategies. Healthy coping strategies will allow you to relieve stress in a healthy manner, rather than falling back into old unhealthy habits, like drug abuse, to try to relieve your stress. 

Ready to Start Your Road to Recovery?

Now you know more about the neuroscience of alcohol addiction and drug addiction. Addiction is a complex disease that impacts your brain and body likely more than you even realize. Understanding the science of addiction is critical so you realize how vulnerable your brain is to addictive substances. Overcoming addiction can be challenging, that’s why it’s vital you seek out professional support so you can safely and effectively break free of addiction.

At Sequoia Detox Center, we are committed to helping as many clients as possible along their sobriety journey. We’re here to help you every step of the way as you navigate recovery, build healthy coping strategies, and lead the healthier, happier life you’re meant to live.Ready to start your recovery journey? Contact us today!